Thursday, April 3, 2008


Hello, again. It’s Suz. And guess what? My post will have absolutely nothing to do with any of these things:
1. Sex
2. Love
3. Romance
4. Edgy YA

But just mentioning them might have this pop up in a few searches. Haha Okay, seriously. Blogging/Vlogging-How important do you think it is for authors to maintain a blog? There are websites of course, which can be costly. But when you go to your favorite author's blog, what type of information or other fun stuff are you looking for?

Is a blog where you can learn more personal information about the author, or would you prefer to just read book related material? Please, those who have one, share.

Me? I like to read about:
1. Sex
2. Love
3. Romance
4. Edgy YA

# The text is interrupted by materials data
+++
Run 1
Computed, not measured: an optimized crystal structure of HoCO4 at the PBE level of DFT.

Unit cell a=12.0379 b=12.0379 c=9.6540 alpha=90.00 beta=90.00 gamma=120.00
Closest atoms and distances in Å follow each position.
Fractional positions:
Ho 0.5441 0.1017 0.2428  9 O 2.31-2.54
Ho 0.2134 0.7765 0.2428  9 O 2.34-2.56
Ho 0.2308 0.1180 0.2612  9 O 2.32-2.59
Ho 0.2134 0.7765 0.7572  9 O 2.34-2.56
Ho 0.5441 0.1017 0.7572  9 O 2.31-2.54
Ho 0.2235 0.4369 0.2428  9 O 2.34-2.56
Ho 0.2308 0.1180 0.7388  9 O 2.32-2.59
Ho 0.8983 0.4424 0.7572  9 O 2.31-2.54
Ho 0.8820 0.1128 0.2612  9 O 2.32-2.59
Ho 0.8983 0.4424 0.2428  9 O 2.31-2.54
Ho 0.5631 0.7866 0.7572  9 O 2.34-2.56
Ho 0.2235 0.4369 0.7572  9 O 2.34-2.56
Ho 0.5576 0.4559 0.2428  9 O 2.31-2.54
Ho 0.5631 0.7866 0.2428  9 O 2.34-2.56
Ho 0.5576 0.4559 0.7572  9 O 2.31-2.54
Ho 0.8872 0.7692 0.7388  9 O 2.32-2.59
Ho 0.8820 0.1128 0.7388  9 O 2.32-2.59
Ho 0.8872 0.7692 0.2612  9 O 2.32-2.59
O 0.8449 0.4179 0.5000  1 C 1.29
O 0.3209 0.9959 0.1923  3 Ho 2.32-2.38, 3 O 2.52-2.57
O 0.5073 0.5998 0.6180  1 C 1.29
O 0.8587 0.0348 0.5000  1 C 1.30
O 0.0925 0.4927 0.3820  1 C 1.29
O 0.4169 0.1600 0.3828  1 C 1.29
O 0.8224 0.5643 0.8829  1 C 1.29
O 0.7431 0.5831 0.6172  1 C 1.29
O 0.1826 0.2519 0.8829  1 C 1.29
O 0.5170 0.1553 0.0000  1 C 1.30
O 0.0840 0.2334 0.6172  1 C 1.29
O 0.7481 0.9307 0.8829  1 C 1.29
O 0.6593 0.0030 0.6941  3 Ho 2.31-2.36, 2 O 2.48-2.58
O 0.5821 0.4271 0.5000  1 C 1.29
O 0.4831 0.9054 0.8836  1 C 1.29
O 0.3333 0.6667 0.7505  3 Ho 2.40
O 0.7666 0.8506 0.6172  1 C 1.29
O 0.9056 0.0906 0.0000  1 C 1.30
O 0.7420 0.1776 0.1171  1 C 1.29
O 0.0925 0.4927 0.6180  1 C 1.29
O 0.5056 0.7019 0.0000  1 C 1.29
O 0.0946 0.5777 0.8836  1 C 1.29
O 0.7431 0.5831 0.3828  1 C 1.29
O 0.1761 0.1413 0.5000  1 C 1.30
O 0.0946 0.5777 0.1164  1 C 1.29
O 0.4223 0.5169 0.1164  1 C 1.29
O 0.0000 0.0000 0.7564  3 Ho 2.41
O 0.3209 0.9959 0.8077  3 Ho 2.32-2.38, 3 O 2.52-2.57
O 0.4169 0.1600 0.6172  1 C 1.29
O 0.0041 0.3251 0.1923  3 Ho 2.32-2.38, 3 O 2.52-2.57
O 0.6749 0.6791 0.8077  3 Ho 2.32-2.38, 3 O 2.52-2.57
O 0.1962 0.4944 0.0000  1 C 1.29
O 0.0840 0.2334 0.3828  1 C 1.29
O 0.5164 0.7623 0.5000  1 C 1.30
O 0.2377 0.7540 0.5000  1 C 1.30
O 0.9094 0.8151 0.0000  1 C 1.30
O 0.3437 0.3407 0.3059  3 Ho 2.31-2.36, 2 O 2.48-2.58
O 0.0693 0.8174 0.1171  1 C 1.29
O 0.4002 0.9075 0.3820  1 C 1.29
O 0.0000 0.0000 0.2436  3 Ho 2.41
O 0.3333 0.6667 0.2495  3 Ho 2.40
O 0.6749 0.6791 0.1923  3 Ho 2.32-2.38, 3 O 2.52-2.57
O 0.6593 0.0030 0.3059  3 Ho 2.31-2.36, 2 O 2.48-2.58
O 0.9970 0.6563 0.6941  3 Ho 2.31-2.36, 2 O 2.48-2.58
O 0.1494 0.9160 0.6172  1 C 1.29
O 0.3437 0.3407 0.6941  3 Ho 2.31-2.36, 2 O 2.48-2.58
O 0.1494 0.9160 0.3828  1 C 1.29
O 0.7420 0.1776 0.8829  1 C 1.29
O 0.9970 0.6563 0.3059  3 Ho 2.31-2.36, 2 O 2.48-2.58
O 0.4357 0.2580 0.8829  1 C 1.29
O 0.4223 0.5169 0.8836  1 C 1.29
O 0.6667 0.3333 0.7440  3 Ho 2.42
O 0.8400 0.2569 0.3828  1 C 1.29
O 0.8224 0.5643 0.1171  1 C 1.29
+++

HAHA. Love you!
-Suzanne Young


hannah moskowitz said...

Oh, Suz. :)

I don't keep a personal blog. If I'm ever at the point in my career where someone asks for a website, I believe I'll point them right here. I'm more than proud of this blog, and I think it's valuable to have so many viewpoints here in one spot.

Anonymous said...

What I like:

1. funny personal stuff
2. book related stuff
3. Q&A

Okay, so I really like a little bit of everything. Honestly though, I don't think I could ever maintain a blog. I'm to lazy and would go into fits of panic over what to write about. My plan when the time comes: get a website.

hannah moskowitz said...

Oh, and I like everything but stupid press-release stuff. I can find that anywhere.

Sage said...

I like a mix of book-related stuff and personal stuff. Kinda like it's nice to get to know the author, but I came because of the novels, so that's probably what I'm looking for. Some authors also blog about the writing process, and I think that's lots of fun (even though of course, we already have experience with the writing process ;) )

Anonymous said...

Having a website is pretty much essential. Having a blog should be. I'm not really down with blogs supplementing websites, though--websites aren't that costly and are probably one of the best investments you could make as an author. And group blogs supplementing an author website or blog is also not my cup of tea. When I'm looking for specific information I don't want to wade through a community blog full of authors, I'm only looking for one. I think it's really important to carve out a space that is about you and targeted to people who want to know more about you.

Lots of authors aren't into the blogging thing because it's really time consuming (it's true, it's a lot of work to maintain an interactive online presence) but with new platforms like tumblr, which demand less of both blogger and reader, there's really no excuse to not dip your toes in to some extent. Not having a blog is almost like cutting off your nose to spite your face--why block yourself off from potential readers? Many readers are going to find you online before they find you in the bookstore and lots of them will base their interest in your work with what you put out online. If you're putting nothing out there, what's going to entice them?

I want reach as many readers as I can so I'm always interested in my maximizing my web presence. What do I want out of an author blog? A mix. I'm looking for a sense of person, I'm always down for publishing tidbits and news. I think it's important important important for authors to remember that there is a difference between getting personal and being personable. Oversharing makes me cringe. Platforms like livejournal tend to give a false sense of security and intimacy. Meg Cabot is a fabulous example of a perfect author blog. If they could all be like hers, the internet would be a beautiful place.

Suzanne Young said...

YAY! Courtney's returned. :) On websites, if an author can do it themselves, it might not be too expensive, but hiring a webdesigner can be. (Thanks brother David)

I, too, cringe at overinformation. I was joking about wanting sex on a blog. I have plenty of other places to look first. ;) I want funny stuff. If a blog is not funny, I DON'T READ IT. I also like to know what the author is up to, new projects, tours, stuff like that.

Amanda Morgan said...

I think blogging/vlogging can be really important. It forges connections between authors and can really market an author pre-publication (not to mention after). I can't tell you what amazing connections I've made thanks to my first Vlog. Within in DAY of it, no less. On a website, I like to see a good balance of info about the author and about the books. :)

althrasher said...

Hopefully not too important, since I only remember to update it once a week.

Generally what I like in a blog:

Needs to be funny
Sometimes stories
Bullets: easy formatting.

But generally, I just like to know that there's a real human behind all that paper.

Andrew Carmichael said...

I like blogs where the author says stuff about themselves, their lives, random things, etc. Stuff about their books is good, too, but if it's all about books I think I'd stop reading. Mostly because I'll buy the book, most likely, and I don't want to read lots of it before hand or...well, I'm not sure what.

Mary Danielson said...

Great topic!! I'm with Andrew, if a blog is all about the author's books rather than his or her life, I don't read it very often. I'm all for updates about books and such, but funny stories and insight into the author is much more fun to read. If I'm already on the author's site, then I've probably already read their books and like them. If not, then funny posts about themselves are more likely to sell me on their writing - I can get a book description on Amazon, after all.

Keri Mikulski said...

I like a combo.. A little of this, a little of that.. :)

Anonymous said...

All of the blogs on my blogroll, save one, are writing blogs, whether personal author websites, agent websites or blogs like this.

I experimented early on with reading blogs just for fun or just about people's days but thanks to my OCD, I get a little nuts with checking them systematically so when it was taking me hours to check blogs that weren't about anything, I decided I was wasting my time. Even if I like the person, they have a great voice, great sense of humor, if all they're providing is their day to day life, or little more, I don't see a point in reading it. I'm also not a fan of reality TV and I think the two play together.

I seek out blogs for a specific purpose.

As for authors having blogs, I've seen agents reiterate that it's not important until you're published. If you have nothing to build an audience for, then there isn't much of a point in wasting valuable writing time building an audience. It's working backwards, really. A band doesn't really have fans before they cut their first song, do they?

If you want to then that's your prerogative but it's not necessary until you actually have something to promote (i.e., yourself). Unless you have tens of thousands of hits on your blog a day (or more), it's not going to make a different preemtively in the publishing world.